Shedding the Spots
The main reason I moved away from Spotify was because I discovered that it uses P2P (peer-to-peer) technology and that there is no option to disable this. This means that whenever the Spotify program is open, it will happily upload lots of music data that you happen to have on your hard drive (perhaps because it’s cached or because it’s in an “available offline” playlist) to other Spotify users.
This poses a number of problems. Firstly, those with a limited amount of bandwidth provided by their ISP may find that Spotify uses up a lot of their allowance. Secondly, when uploading to other users, it can cause problems for other applications that use your Internet connection. In particular, online gamers (such as myself) will find their ping/latency in games reach unacceptable levels.
I had been slightly grumpy with Spotify for a while (due to posting a number of issues / recommendations on their support forum and not getting any official responses.) At the time I was also using a 1st generation iPhone (‘2G’) and Spotify had recently decided (without warning) to remove support for these iPhones from their mobile app.
So I couldn’t really have Spotify open (and therefore listen to music) at the same time as playing Guild Wars and I could no longer listen to Spotify on the move. I decided to look elsewhere.
Becoming a Deezer Geezer
-- Inserted here: calculated molecules --
# 1
ORCA calculation (ωB97M-V with the def2-TZVPD basis set) on 8 unconnected molecules or ions with the total composition C46H108F3N7O12S at a distorted geometry.

XYZ file:
```
177
Properties=species:S:1:pos:R:3:forces:R:3
N -0.433 0.303 -0.383 -1.261 0.279 0.749
O -0.295 0.607 0.816 0.457 -0.205 -0.652
O -1.186 -0.660 -0.690 0.484 0.075 -0.296
O 0.071 1.018 -1.285 0.317 -0.254 -0.223
C -1.543 4.600 -6.890 -0.273 -0.115 -1.029
O -0.636 3.739 -6.225 0.455 -0.581 0.376
C -0.951 3.521 -4.878 -0.308 1.166 -0.431
C 0.086 2.652 -4.210 -0.390 -0.285 0.582
N 0.396 1.455 -5.057 -0.448 0.013 -1.324
H -0.467 0.923 -5.198 0.076 -0.233 0.530
H 0.557 1.752 -6.031 0.518 0.596 0.250
C 1.525 0.574 -4.618 -0.646 -0.227 0.939
C 2.842 1.341 -4.598 -0.052 0.022 -0.845
O 2.845 2.177 -5.724 -0.523 -0.044 -0.218
C 4.072 2.865 -5.924 0.217 0.251 0.320
H -1.122 4.849 -7.864 0.284 0.050 0.199
H -1.726 5.530 -6.349 -0.073 -0.130 0.172
H -2.460 4.055 -7.143 -0.194 0.200 0.448
H -1.967 3.126 -4.729 0.007 -0.565 -0.374
H -1.045 4.498 -4.385 0.466 -0.044 0.392
H -0.388 2.295 -3.295 0.396 -0.259 0.156
H 1.024 3.121 -3.931 -0.019 0.260 -0.394
H 1.535 -0.328 -5.229 0.081 0.345 -0.509
H 1.216 0.226 -3.628 0.334 0.203 0.213
H 3.659 0.626 -4.741 0.068 -0.077 0.686
H 2.936 1.935 -3.683 0.234 -0.208 0.145
H 3.995 3.422 -6.852 -0.021 -0.087 -0.037
H 4.921 2.177 -5.957 -0.083 -0.080 -0.145
H 4.245 3.568 -5.102 -0.013 0.030 -0.024
C -6.495 -1.564 0.235 -0.209 -0.169 0.184
O -5.457 -0.830 -0.416 -0.666 -0.102 -0.569
C -5.435 -1.040 -1.821 1.278 -0.606 0.675
C -4.405 -0.035 -2.331 -2.341 0.674 -0.966
N -5.094 1.324 -2.250 1.820 0.565 1.502
H -6.006 1.412 -2.694 0.116 -0.255 -0.297
H -5.245 1.426 -1.237 -0.272 0.255 -0.032
C -4.132 2.479 -2.641 -1.857 -0.947 -0.568
C -2.870 2.486 -1.772 -1.109 1.053 -1.941
O -3.384 2.701 -0.511 0.303 -0.381 0.614
C -2.528 3.391 0.412 0.683 -0.169 -0.196
H -6.568 -1.128 1.228 -0.192 -0.281 0.047
H -6.292 -2.638 0.298 0.459 0.062 0.088
H -7.457 -1.526 -0.283 0.040 0.523 -0.067
H -6.425 -0.972 -2.281 -0.056 0.451 -0.008
H -5.102 -2.061 -2.036 0.151 -0.018 -0.056
H -4.230 -0.150 -3.400 0.547 -0.369 0.128
H -3.535 0.071 -1.693 0.182 -0.531 -0.146
H -4.754 3.362 -2.497 0.402 0.237 0.383
H -4.088 2.385 -3.728 0.842 -0.125 0.036
H -2.358 3.364 -2.198 0.300 0.083 0.472
H -2.213 1.633 -1.968 -0.034 -0.184 0.617
H -3.147 3.654 1.260 0.181 0.186 0.076
H -2.071 4.263 -0.065 -0.542 0.245 0.111
H -1.670 2.776 0.703 -0.255 -0.266 0.236
C -5.602 1.354 2.567 -0.549 -0.401 0.445
O -4.526 0.581 3.056 0.185 -0.899 0.065
C -3.395 0.433 2.198 -0.486 2.094 1.147
C -2.404 -0.461 2.919 -0.710 -0.684 0.160
N -3.199 -1.601 3.519 -0.098 -0.418 0.093
H -2.682 -2.062 4.268 0.168 -0.075 -0.214
H -4.001 -1.163 4.000 -0.281 0.025 -0.443
C -3.714 -2.606 2.506 -0.095 0.620 1.090
C -4.871 -3.365 3.114 -0.612 0.073 0.712
O -5.833 -2.386 3.432 0.275 0.792 -0.233
C -6.917 -2.832 4.220 -0.073 -1.025 0.572
H -5.353 2.368 2.249 0.363 -0.052 0.043
H -6.271 1.405 3.425 -0.140 0.276 -0.155
Deezer seemed to fit the bill nicely. Not only do they offer a free month’s trial (I didn’t even have to enter my credit card details if I remember correctly), it works from within the web browser (so it definitely doesn’t use P2P) and has a large collection of music. Plus their app worked on iOS 3 and so I could listen to music on my mobile again.
All well and good but after a few months I noticed a number of problems. Because Deezer works within the web browser, this introduces a number of limitations. Firstly, any multimedia keys you have on your keyboard (‘play/pause’, ‘next track’, etc) will not function. Secondly, it cannot play any local music tracks (e.g. mp3s) that you have on your computer without you uploading them first. And once uploaded, the way u navigate them is rather clumsy – it wouldn’t even let me sort them by or even list their track numbers. Thirdly, the only way to add an album to a playlist in Deezer is to add each track in turn. This may not sound like much of a problem but it can get pretty irritating pretty quickly. Lastly I found that Deezer didn’t have music from a number of artists that I really like that Spotify does have; Hybrid, Plaid and Autechre, for example. By this point I had ditched the iPhone and got a fantastic Samsung Galaxy SII which Spotify supported so I chose to return to Spotify.
Spotify have recently implemented ‘gapless playback’, a feature that many users had been requesting for ages. When listening to an album where one track is supposed to mix seemlessly into another, this feature really improves the experience for me.
But what about the P2P problem? I still played Guild Wars and I still wanted to listen to music whilst playing without it uploading lots of data to others and giving making my character the response time of a drunken tortoise. Unfortunately, Spotify still provide no option for disabling the P2P part of the program so I had to resort to more technical measures.
At first I thought I would have to enable ‘offline mode’ whenever I was playing an online game. However, this would prevent me streaming any music (that wasn’t “available offline”.) What I did was to use the Windows Firewall built into Windows 7 and configure it such that incoming connections to Spotify were refused except for IP addresses on the local subnet (i.e. other computers/devices on my home network.) If you want to know more details about how to do this, please leave a comment and if there is enough demand I will explain in a seperate blog post.
So now I’m back with Spotify, minus the annoying P2P and with a supported mobile phone! Hooray!
Summary of the advantages
Molecular data that have nothing to do with the page
~~~
Record 1
{
  "formula": "C27H19Cl24F2IO4S",
  "method": "ωB97M-V/def2-TZVPD",
  "elements": ["C", "C", "Cl", "C", "Cl", "C", "C", "C", "I", "C", "C", "C", "C", "C", "O", "C", "C", "Cl", "C", "C", "C", "C", "F", "C", "S", "O", "O", "F", "C", "C", "O", "H", "H", "H", "H", "H", "H", "H", "H", "H", "H", "H", "H", "Cl", "C", "Cl", "Cl", "H", "Cl", "C", "Cl", "Cl", "H", "Cl", "C", "Cl", "Cl", "H", "Cl", "C", "Cl", "Cl", "H", "Cl", "C", "Cl", "Cl", "H", "Cl", "C", "Cl", "Cl", "H", "Cl", "C", "Cl", "Cl", "H"],
  "coordinates": [[7.238, -2.638, -3.110], [5.722, -2.009, -2.946], [4.344, -2.657, -4.051], [5.433, -0.959, -1.911], [6.725, -0.260, -0.742], [3.888, -0.353, -1.705], [3.516, 1.201, -2.074], [1.966, 1.748, -1.887], [1.420, 3.810, -2.373], [0.841, 0.692, -1.334], [1.208, -0.900, -0.967], [2.778, -1.439, -1.144], [3.200, -2.996, -0.801], [-0.028, -1.900, -0.441], [0.112, -2.814, 0.523], [-1.472, -1.609, -1.238], [-2.400, -2.893, -1.653], [-1.935, -4.676, -1.249], [-3.791, -2.588, -2.465], [-4.199, -1.017, -2.872], [-5.608, -0.858, -3.708], [-6.907, -0.526, -2.707], [-5.530, 0.059, -4.877], [-3.215, 0.263, -2.432], [-3.706, 1.968, -2.961], [-3.057, 3.160, -2.251], [-3.326, 2.099, -4.488], [-5.430, 2.266, -2.923], [-1.843, -0.014, -1.589], [-0.763, 1.080, -1.049], [-0.968, 2.179, -0.336], [7.251, -3.692, -2.593], [7.407, -2.812, -4.255], [8.069, -1.955, -2.611], [4.351, 1.926, -2.502], [2.917, -3.633, -1.769], [2.601, -3.472, 0.084], [4.347, -3.135, -0.548], [-4.482, -3.495, -2.796], [-5.866, -1.930, -4.165], [-6.654, 0.261, -1.877], [-7.887, -0.305, -3.313], [-7.108, -1.552, -2.133], [-7.060, 5.880, -1.122], [-5.641, 5.113, -0.390], [-4.414, 6.327, 0.010], [-6.105, 4.198, 1.055], [-5.213, 4.417, -1.115], [0.389, -2.062, 4.611], [1.161, -3.523, 3.969], [2.875, -3.224, 3.635], [0.973, -4.874, 5.100], [0.668, -3.789, 3.030], [-9.281, -0.554, -0.074], [-10.867, -0.636, -0.860], [-10.898, 0.388, -2.306], [-11.270, -2.311, -1.274], [-11.618, -0.264, -0.159], [6.393, -1.856, 2.694], [6.376, -2.304, 4.408], [6.687, -4.038, 4.600], [7.569, -1.355, 5.311], [5.385, -2.085, 4.812], [7.968, 3.380, -2.834], [7.408, 3.408, -1.153], [8.231, 4.688, -0.244], [5.651, 3.629, -1.086], [7.653, 2.448, -0.692], [-8.992, 7.817, 2.471], [-7.572, 7.050, 3.203], [-6.346, 8.264, 3.603], [-8.036, 6.135, 4.648], [-7.144, 6.354, 2.478], [8.100, -1.689, 10.494], [9.286, -2.062, 9.232], [8.866, -3.575, 8.411], [9.395, -0.731, 8.067], [10.264, -2.187, 9.705]],
  "mulliken_charge": [-0.88, 0.43, -0.15, -0.33, -0.17, 0.37, -0.24, -0.98, 0.09, 0.58, 0.08, 0.43, -1.15, 0.09, -0.43, -0.08, -0.06, -0.15, -0.67, 0.49, -0.08, -0.81, -0.31, 0.23, 1.25, -0.48, -0.55, -0.32, 0.34, 0.21, -0.43, 0.25, 0.31, 0.29, 0.58, 0.28, 0.29, 0.25, 0.24, 0.30, 0.28, 0.26, 0.34, -0.12, 0.75, -0.12, -0.15, -0.38, -0.14, 0.23, -0.08, -0.13, 0.13, -0.10, 0.00, -0.11, -0.12, 0.34, -0.06, 0.02, -0.13, -0.09, 0.25, -0.14, 0.27, -0.13, -0.05, 0.08, -0.13, 0.62, -0.12, -0.13, -0.22, -0.12, 0.04, -0.11, -0.12, 0.30],
~~~
- Larger music collection
- Gapless playback
- Multimedia keyboard keys work properly
- Better support for playback of local music files
- Works within any Flash-enabled web browser therefore more ‘portable’
- No peer-to-peer (P2P)
- Support for the original (‘2G’) iPhone
Another criteria some might find relevant: the social responsability of the company.
### Quantum chemistry results, as found in the file
┌──
Formula: CH4O3
Source: OMol25
Level of theory: wB97M-V/def2-TZVPD

The HOMO-LUMO gap comes out at 11.8 eV. As for the HOMO energy: -11.0 eV.

Each line ends with the Löwdin charge.
Cartesian coordinates (Å):
O  1.852  -0.874  -1.906  0.02
C  0.842  -0.934  -2.639  -0.30
O  -0.337  -0.237  -2.344  0.01
H  0.715  -1.440  -3.616  0.14
H  -0.196  0.082  -1.412  0.13
O  -0.706  1.046  3.674  -0.09
H  -0.604  1.741  4.362  0.05
H  -1.566  0.615  3.881  0.05

---

Formula: CH4O3
Source: OMol25
Level of theory: wB97M-V/def2-TZVPD

The HOMO-LUMO gap comes out at 11.3 eV. As for the HOMO energy: -11.2 eV.

Each line ends with the Löwdin charge.
Cartesian coordinates (Å):
O  0.332  2.093  0.023  0.06
C  -0.667  1.441  -0.258  -0.40
O  -1.116  0.378  0.386  0.07
H  -1.440  1.751  -0.988  0.14
H  -1.866  -0.009  -0.142  0.14
O  1.720  -2.245  0.440  -0.09
H  0.805  -1.893  0.516  0.03
H  2.232  -1.517  0.021  0.05

---

Formula: CH4OS
Source: OMol25
Level of theory: wB97M-V/def2-TZVPD

The HOMO-LUMO gap comes out at 8.9 eV. As for the HOMO energy: -9.4 eV.

Each line ends with the Löwdin charge.
Cartesian coordinates (Å):
C  0.899  0.588  -0.917  -0.45
O  -1.312  -0.052  1.877  -0.11
S  0.777  -0.842  -1.782  0.70
H  -0.620  -0.048  2.507  0.00
H  1.791  1.113  -1.368  -0.07
H  -1.088  0.327  0.930  0.06
H  -0.447  -1.086  -1.246  -0.13

---

Formula: CH4P2S
Source: OMol25
Level of theory: wB97M-V/def2-TZVPD

The HOMO-LUMO gap comes out at 9.7 eV. As for the HOMO energy: -9.0 eV.

Each line ends with the Löwdin charge.
Cartesian coordinates (Å):
C  -1.185  -0.168  0.371  -0.46
P  0.085  0.067  -1.010  0.27
S  1.528  -1.337  -0.439  0.06
P  1.769  0.619  0.201  0.21
H  -1.757  -1.060  0.192  0.00
H  -1.903  0.731  0.311  0.05
H  -0.785  -0.167  1.395  0.01
H  2.249  1.315  -1.021  -0.15

---

Formula: CH4P2S
Source: OMol25
Level of theory: wB97M-V/def2-TZVPD

The HOMO-LUMO gap (alpha / beta) comes out at 7.9 / 6.6 eV. As for the HOMO energy (alpha / beta): -9.5 / -8.6 eV.

Each line ends with the Löwdin charge.
Cartesian coordinates (Å):
C  -0.169  -0.021  -0.278  -0.96
P  0.147  -1.584  0.369  0.64
P  1.029  1.177  0.349  0.65
S  -2.432  0.621  0.487  0.16
H  -0.770  -2.330  -0.310  -0.12
H  1.161  -1.808  -0.538  -0.10
H  1.104  2.120  -0.820  -0.07
H  -0.069  1.825  0.740  -0.21

---

Formula: CH4P2S
Source: OMol25
Level of theory: wB97M-V/def2-TZVPD

The HOMO-LUMO gap (alpha / beta) comes out at 5.6 / 6.2 eV. As for the HOMO energy (alpha / beta): -4.9 / -9.2 eV. The expectation value of S² is 2.01. Its spin multiplicity is 3.

Each line ends with the Löwdin spin population.
Cartesian coordinates (Å):
C  -1.210  -0.361  -0.231  0.04
P  1.449  0.860  0.979  0.69
P  0.468  0.076  -0.799  0.19
S  1.847  -1.094  0.218  0.99
H  -1.580  -1.063  -0.965  0.00
H  -1.816  0.500  -0.197  0.00
H  -1.496  -0.582  0.778  0.00
H  2.340  1.664  0.218  0.09

---

Formula: CH4S3
Source: OMol25
Level of theory: wB97M-V/def2-TZVPD
└──
Deezer pays the artist more than Spotify. Besides that the difference are minor – and even then that is not much. So it s an easy pick: pay the artist. Pay the producer not the banks.
Spotify s engineerd in sweden, but puts headquaters in london to pay less tax. Deezer s in paris.
Regarding running in a browser, I find that an advantage, specially that deezer has the mixing desk: it s great for parties, or to go somewhere and let your friends listent to something.
Regarding GUI: deezer song organization is not perfect I agree (not that spotify is either, but a bit better), but contrarily to what you wrote in the article, it is indeed possible to add a full album using check box select all then button add, or event drag n drop an album in a directory
Can you please post the steps to enable firewall to block incoming Spotify requests?
It’s actually not too hard. Here’s a what I did (in Windows 7)..
1. Open Control Panel
2. Double click ‘Windows Firewall’
3. Click ‘Advanced Settings’ on the left-hand side
4. Click ‘Inbound Rules’ on the left-hand side
5. Scroll down to “Spotify” or “spotify.exe” and double click
6. Click the ‘Advanced’ tab
7. Select ‘Block edge traversal’ from the drop down within ‘Edge Traversal’ section
8. Click the ‘Scope’ tab
9. In the ‘Remote IP addresses’ section select ‘These IP addresses’
10. Click the Add button
11. Select ‘Pre-defined set of computers’
12. Select ‘Local subnet’ from the drop down
13. Click the ‘OK’ button
14. Click the other ‘OK’ button
15. Follow steps 5-14 for any other ‘Spotify’ or ‘spotify.exe’ entries
Sharing is caring mate. Don’t do it
I would agree with you if it weren’t for the fact that..
a. I’m paying £9.99 a month for the service
b. there is no ability in Spotify to configure the uploading so it means that without the firewall config, I cannot listen to Spotify whilst online gaming
Wow, you guys pay a lot for spotify in the UK. Here in Mexico it costs 99 pesos/month, which equals less than 5 british pounds.
great first post ben – well written and good content – keep them coming
ben smells
thanks hun
Ben ate the last of the breakfast biscuits and then put the empty box back on the shelf. See what I have to put up with!